Sending a Beautiful Woman to Negotiate? Not Effective!

After carefully planning in his mind how he would negotiate the commission with the Chinese International Police on the day of the transaction, Lu Ting, who had only returned to his estate base a few hours ago, lay down on his bed and fell into a deep sleep.


Whether fighting local bandits and terrorists or traveling in disguise from Dakar over the past few days, he hadn't truly rested. Now back at his estate base, the place where Lu Ting felt most secure, he finally let go of the tension that had been gripping him.


Once completely relaxed, exhaustion washed over him like the tide, and Lu Ting quickly entered a deep sleep.


Meanwhile, on the other side of the world, the Chinese International Police were busy preparing for the face-to-face transaction with Lu Ting in Ivya after two days!


Given the tense situation in Ivya at the moment, they needed various formalities to enter Ivya from China.


Two days passed in the blink of an eye.


Soon, the agreed-upon time for the transaction with the Chinese International Police arrived.


At nine in the morning,


Lu Ting, carrying the storage card, drove his estate's only off-road vehicle towards the agreed meeting place with the Chinese International Police.


Along the way, as he looked at the desert landscape with swirling yellow sand, his mood was unusually beautiful. Just thinking about the commission soon to be in his hands made Lu Ting press down harder on the accelerator.


An eight-kilometer journey. Lu Ting drove the off-road vehicle and arrived at the agreed-upon meeting place in less than twenty minutes, Bahar Town.


After parking the car, Lu Ting got out and took out his phone, dialing a number provided by the Chinese International Police via email.



The phone rang only briefly before someone answered.


Immediately, a somewhat cold and emotionless female voice came through the receiver.




The woman's voice on the other end made Lu Ting furrow his brows slightly, his face showing a hint of surprise.


He hadn't expected the Chinese International Police to send a female detective to negotiate the transaction with him.


As Lu Ting had mentioned before, the situation in Ivya was chaotic. Every day, the sounds of intense battles between the regular army and terrorist factions could be heard. Despite this, they sent a female detective on official business to handle such an important transaction.


Moreover, allowing her to handle this kind of task was particularly important for the Chinese International Police.


Considering these points, it could only mean that the female detective meeting Lu Ting face-to-face today was also not a simple character!


Thinking this, a slightly meaningful look flashed in Lu Ting's eyes. Immediately, he gathered his thoughts and responded to the person on the phone, "I've arrived in town. Where are you guys?"


As soon as he finished speaking,


The woman on the phone promptly and succinctly replied, "Look towards your right at three o'clock, second floor of the restaurant."

-- Inserted here: calculated crystals --
┌──
Diffraction record for Li4Mn3V3Cr2O16. The PXRD pattern is calculated, not measured: it uses a GGA+U-relaxed structure and λ = 1.5418 Å (Cu Kα).
Lines closer than 0.1° are merged.

Principal peaks in the range 10 to 80 degrees two-theta, in order of rising 2θ:
2θ 18.5, I 100
2θ 19.4, I 63
2θ 19.7, I 49
2θ 19.8, I 58
2θ 36.1, I 54
2θ 36.4, I 41

Cell and atoms:
Cell lengths 5.897, 5.917, 9.584 Å; angles 90.66, 90.99, 119.77 degrees
Sites, in units of the cell vectors:
Li: 0.000 0.000 0.000
Li: 0.020 0.001 0.500
Li: 0.346 0.676 0.598
Li: 0.683 0.344 0.100
Mn: 0.190 0.836 0.280
Mn: 0.191 0.343 0.283
Mn: 0.349 0.179 0.784
V: 0.685 0.836 0.282
V: 0.841 0.671 0.780
V: 0.842 0.176 0.781
Cr: 0.345 0.677 0.012
Cr: 0.686 0.338 0.510
O: 0.020 0.012 0.686
O: 0.027 0.009 0.186
O: 0.059 0.527 0.157
O: 0.146 0.818 0.897
O: 0.157 0.330 0.897
O: 0.339 0.163 0.397
O: 0.348 0.672 0.386
O: 0.488 0.972 0.159
O: 0.530 0.562 0.148
O: 0.544 0.053 0.656
O: 0.558 0.512 0.649
O: 0.675 0.342 0.889
O: 0.675 0.845 0.886
O: 0.821 0.136 0.397
O: 0.861 0.677 0.387
O: 0.978 0.486 0.657

=====

Computed PXRD pattern of Tb2Ti3Si4 for Cu Kα, from a PBE-relaxed structure.
Neutral-atom scattering factors, no anomalous dispersion.

Most intense lines, 2θ = 15–90°, by intensity:
2θ 35.16, I = 1000
2θ 40.76, I = 869
2θ 36.64, I = 681
2θ 39.06, I = 654
2θ 31.49, I = 422
2θ 19.03, I = 398
2θ 59.44, I = 316
2θ 30.28, I = 316
2θ 29.09, I = 306
2θ 32.88, I = 251

Crystal structure
```
data_Tb2Ti3Si4
_chemical_formula_sum 'Tb8 Ti12 Si16'
_space_group_name_H-M_alt 'P 41 21 2'
_space_group_IT_number 92
_cell_length_a 7.0646
_cell_length_b 7.0646
_cell_length_c 12.9965
_cell_angle_alpha 90.00
_cell_angle_beta 90.00
_cell_angle_gamma 90.00
loop_
_space_group_symop_operation_xyz
'x,y,z'
'-y+1/2,x+1/2,z+1/4'
'-x,-y,z+1/2'
'y+1/2,-x+1/2,z+3/4'
'x+1/2,-y+1/2,-z+3/4'
'-y,-x,-z+1/2'
'-x+1/2,y+1/2,-z+1/4'
'y,x,-z'
loop_
_atom_site_label
_atom_site_type_symbol
_atom_site_fract_x
_atom_site_fract_y
_atom_site_fract_z
_atom_site_occupancy
Tb1 Tb 0.0029 0.3396 0.0335 1
Ti1 Ti 0.0079 0.1531 0.6230 1
Ti2 Ti 0.1726 0.8274 0.7500 1
Si1 Si 0.0462 0.7089 0.9349 1
Si2 Si 0.1301 0.2020 0.8147 1
```

Computed PXRD pattern of Tb2V3Si4 for Cu Kα, from a PBE-relaxed structure.
Neutral-atom scattering factors, no anomalous dispersion.

Most intense lines, 2θ = 15–90°, by intensity:
2θ 37.53, I = 1000
2θ 37.81, I = 971
2θ 18.89, I = 592
2θ 42.12, I = 540
2θ 34.78, I = 524
2θ 35.02, I = 497
2θ 42.45, I = 373
2θ 30.60, I = 302
2θ 42.26, I = 286
2θ 30.75, I = 280

Crystal structure
```
data_Tb2V3Si4
_chemical_formula_sum 'Tb4 V6 Si8'
_space_group_name_H-M_alt 'P 1 21/c 1'
_space_group_IT_number 14
_cell_length_a 6.8423
_cell_length_b 6.8375
_cell_length_c 6.7222
_cell_angle_alpha 90.00
_cell_angle_beta 109.18
_cell_angle_gamma 90.00
loop_
_space_group_symop_operation_xyz
'x,y,z'
'-x,-y,-z'
'-x,y+1/2,-z+1/2'
'x,-y+1/2,z+1/2'
loop_
_atom_site_label
_atom_site_type_symbol
_atom_site_fract_x
_atom_site_fract_y
└──


Upon hearing this, Lu Ting quickly turned slightly to his right as instructed, looking towards the second floor of the restaurant, a hundred meters away.


In an instant, he spotted a girl with long, dark red hair, wearing a black leather jacket and large sunglasses on her face, standing by the window on the second floor of the restaurant.


Seeing Lu Ting glance over, she raised her hand to signal him.


Without wasting any time, Lu Ting hung up the phone and immediately headed towards the restaurant.


Once inside, he headed straight for the second floor near the window.


And the girl who had been sitting in the chair, drinking watermelon juice through a straw, immediately stood up when she saw Lu Ting approaching.


When Lu Ting approached, the girl took off her sunglasses and proactively extended her hand, greeting him in fluent English, "Mr. Lu, hello. I'm Chen Yaoguang, responsible for negotiating with you this time."




Lu Ting also extended his hand, lightly shaking hers before letting go. He then pulled out a chair and sat down. Despite the young Chinese girl sitting opposite him having naturally attractive features—flawless face and figure—at this moment, Lu Ting's mind was solely focused on money.


As for women, as long as there's enough money, what kind of woman couldn't he get?


At this moment, Chen Yaoguang looked calmly at the young man sitting in front of her, and her gaze couldn't help but carry a hint of appraisal.


To be honest, even now, she found it hard to believe that Lu Ting, such a young mercenary, had single-handedly retrieved the storage card containing such crucial evidence from Dakar, a dangerous place like a dragon's den.


And most importantly, right now, he appeared in good shape, without a single sign of being wounded after a fierce battle.


This was somewhat unexpected for Chen Yaoguang.


However, she quickly restrained her thoughts. After all, someone who could survive in Ivya, even having a private armed group company, was definitely not a simple person.


Many things couldn't be judged by appearance alone. The information Lu Ting had placed on the mercenary dark web was just what he wanted the public to see.


What kind of true strength he actually possessed, probably, besides Lu Ting himself, no one else knew!


And sharing this thought was Lu Ting, sitting across from Chen Yaoguang.


Seeing the young Chinese woman sitting opposite him, Lu Ting's mind immediately raised an alarm. To be honest, he had a bad feeling about this.


Chinese International Police wouldn't just send a young female detective like this to negotiate with him for no reason. Unless she had something particularly outstanding.


In this situation, the only thing Lu Ting could think of was negotiation!


With this in mind, Lu Ting suddenly understood. The female detective who had sacrificed herself before handing him the storage card hadn't specified the exact amount of the commission. She only mentioned that Chinese International Police would provide generous compensation.

┌──
Structure and computed X-ray diffraction stick pattern of LaNd6Er12 (DFT lattice parameters and positions (PBE); λ = 1.5418 Å (Cu Kα)).
No peak broadening, texture or thermal motion is included.

Main lines, low angle first (2θ = 5–70°):
2θ = 28.93°, I 25, hkl 1 3 1; 2θ = 29.37°, I 48, hkl 1 0 4; 2θ = 31.48°, I 54, hkl 3 1 2; 2θ = 31.62°, I 61, hkl 0 3 3; 2θ = 31.99°, I 100, hkl 4 0 1; 2θ = 34.34°, I 39, hkl 0 4 2; 2θ = 34.46°, I 25, hkl 2 2 3; 2θ = 34.81°, I 21, hkl 3 2 1; 2θ = 55.48°, I 26, hkl 4 4 0; 2θ = 56.87°, I 27, hkl 4 3 4

Structure:
```
data_LaNd6Er12
_space_group_name_H-M_alt 'R -3 m'
_space_group_IT_number 166
_space_group_name_Hall '-R 3 2"'
_cell_length_a 13.2505
_cell_length_b 13.2505
_cell_length_c 12.6169
_cell_angle_alpha 90.00
_cell_angle_beta 90.00
_cell_angle_gamma 120.00
loop_
_atom_site_label
_atom_site_type_symbol
_atom_site_fract_x
_atom_site_fract_y
_atom_site_fract_z
La1 La 0.0000 0.0000 0.0000
Nd1 Nd 0.0354 0.5177 0.6182
Er1 Er 0.0000 0.2567 0.5000
Er2 Er 0.0917 0.1834 0.2644
```

***

Structure and computed X-ray diffraction stick pattern of CaCd2PdAu2 (DFT lattice parameters and positions (PBE); λ = 1.5418 Å (Cu Kα)).
No peak broadening, texture or thermal motion is included.

Main lines, low angle first (2θ = 5–70°):
2θ = 15.83°, I 100, hkl 0 0 2; 2θ = 23.35°, I 38, hkl 1 1 0; 2θ = 31.96°, I 50, hkl 0 0 4; 2θ = 33.25°, I 95, hkl 2 0 0; 2θ = 37.03°, I 52, hkl 2 0 2; 2θ = 39.96°, I 17, hkl 1 1 4; 2θ = 46.79°, I 68, hkl 2 0 4; 2θ = 47.74°, I 34, hkl 2 2 0; 2θ = 50.61°, I 21, hkl 2 2 2; 2θ = 58.61°, I 35, hkl 2 2 4

Structure:
```
data_CaCd2PdAu2
_space_group_name_H-M_alt 'I 4/m m m'
_space_group_IT_number 139
_space_group_name_Hall '-I 4 2'
_cell_length_a 5.389
_cell_length_b 5.389
_cell_length_c 11.200
_cell_angle_alpha 90.00
_cell_angle_beta 90.00
_cell_angle_gamma 90.00
loop_
_atom_site_label
_atom_site_type_symbol
_atom_site_fract_x
_atom_site_fract_y
_atom_site_fract_z
Ca1 Ca 0.000 0.000 0.000
Cd1 Cd 0.000 0.500 0.250
Pd1 Pd 0.000 0.000 0.500
Au1 Au 0.000 0.000 0.264
```


Record 1
Calculated X-ray powder pattern of Li9Mn2Co5O16 for λ = 1.5418 Å (Cu Kα), from a cell relaxed with GGA+U.
No peak broadening, texture or thermal motion is included.

Peak list (6 most intense, 2θ = 15–90°, low angle first)
two_theta, d/Å, I_rel, index
18.40, 4.821, 100, 0 1 1
35.97, 2.497, 14, 0 2 -2
43.43, 2.084, 28, 0 3 -1
43.77, 2.068, 27, 2 1 3
44.19, 2.050, 26, 2 0 -2
63.57, 1.464, 15, 2 -2 4

Cell lengths 5.792, 6.598, 7.736 Å; angles 89.50, 78.65, 77.41 degrees
Positions (direct):
Li 0.000 0.000 0.000
Li 0.000 0.492 0.501
Li 0.120 0.365 0.131
Li 0.239 0.249 0.766
Li 0.239 0.744 0.254
Li 0.481 0.005 0.005
Li 0.490 0.488 0.507
Li 0.740 0.247 0.762
Li 0.747 0.739 0.254
Mn 0.614 0.368 0.133
Mn 0.873 0.124 0.377
Co 0.117 0.868 0.632
Co 0.362 0.612 0.887
Co 0.365 0.124 0.379
Co 0.611 0.874 0.635
Co 0.874 0.610 0.885
O 0.058 0.178 0.547
O 0.058 0.684 0.050
O 0.173 0.061 0.215
O 0.179 0.567 0.695
O 0.313 0.927 0.810
O 0.324 0.411 0.311
└──
Back to the article:


And Chinese International Police might be concerned that he would ask for too much. So they sent someone who excelled in negotiation to discuss the commission for this transaction.


(End of the Chapter)